## File
=====
First-principles (PBE) data for a relaxed LaGaO3 crystal, as listed in the Materials Project database.

Unit cell a=5.546 b=5.594 c=7.851 alpha=90.00 beta=90.00 gamma=90.00
Fractional coordinates of all 20 atoms:
La: 0.495 0.508 0.750
La: 0.995 0.992 0.750
La: 0.005 0.008 0.250
La: 0.505 0.492 0.250
Ga: 0.000 0.500 0.500
Ga: 0.500 0.000 0.000
Ga: 0.500 0.000 0.500
Ga: 0.000 0.500 0.000
O: 0.744 0.746 0.544
O: 0.499 0.919 0.250
O: 0.001 0.419 0.750
O: 0.256 0.254 0.456
O: 0.501 0.081 0.750
O: 0.244 0.754 0.956
O: 0.244 0.754 0.544
O: 0.756 0.246 0.456
O: 0.999 0.581 0.250
O: 0.744 0.746 0.956
O: 0.256 0.254 0.044
O: 0.756 0.246 0.044

* formation energy: -3.09 eV/atom
* VASP energy: -0.2662 Ha/atom
* crystal system: orthorhombic

~~~~~

Density functional theory data (PBE with a Hubbard U) for a relaxed structure of Na2Co3O6.

Results
- energy (eV/atom) = -5.346
- formation energy (meV/atom) = -1289.2

Cell: 6.749 8.075 11.131 Å, 90.00 90.00 90.00°
Space group Amm2 (No. 38)
One atom of each set of equivalent atoms:
Na  0.000  0.000  0.000 [2 per cell]
Na  0.000  0.170  0.504 [4 per cell]
Na  0.500  0.000  0.531 [2 per cell]
Co  0.244  0.000  0.770 [4 per cell]
Co  0.250  0.169  0.266 [8 per cell]
O  0.227  0.170  0.879 [8 per cell]
O  0.235  0.000  0.160 [4 per cell]
O  0.237  0.000  0.377 [4 per cell]
O  0.251  0.165  0.656 [8 per cell]
=====

## To do
It remains to copy the lines further above from the first line to the one with "0.000 [2" character by character.

## Done
First-principles (PBE) data for a relaxed LaGaO3 crystal, as listed in the Materials Project database.

Unit cell a=5.546 b=5.594 c=7.851 alpha=90.00 beta=90.00 gamma=90.00
Fractional coordinates of all 20 atoms:
La: 0.495 0.508 0.750
La: 0.995 0.992 0.750
La: 0.005 0.008 0.250
La: 0.505 0.492 0.250
Ga: 0.000 0.500 0.500
Ga: 0.500 0.000 0.000
Ga: 0.500 0.000 0.500
Ga: 0.000 0.500 0.000
O: 0.744 0.746 0.544
O: 0.499 0.919 0.250
O: 0.001 0.419 0.750
O: 0.256 0.254 0.456
O: 0.501 0.081 0.750
O: 0.244 0.754 0.956
O: 0.244 0.754 0.544
O: 0.756 0.246 0.456
O: 0.999 0.581 0.250
O: 0.744 0.746 0.956
O: 0.256 0.254 0.044
O: 0.756 0.246 0.044

* formation energy: -3.09 eV/atom
* VASP energy: -0.2662 Ha/atom
* crystal system: orthorhombic

~~~~~

Density functional theory data (PBE with a Hubbard U) for a relaxed structure of Na2Co3O6.

Results
- energy (eV/atom) = -5.346
- formation energy (meV/atom) = -1289.2

Cell: 6.749 8.075 11.131 Å, 90.00 90.00 90.00°
Space group Amm2 (No. 38)
One atom of each set of equivalent atoms:
Na  0.000  0.000  0.000 [2 per cell]